The "general welfare," the phrase most usually seized upon by social-welfare-fascists to justify their incursions on freedom, has only one conceivable meaning: the defense of all rights to life, liberty and property. Once you try to interpret the phrase as a license to invade any individual's rights, or the rights of any group of individuals however defined, for the benefit of some other group, be it larger or smaller, you have excluded the victimized group from the "general welfare."
Not one of the Framers would have approved of any of the things you appear to want to justify, except that Jefferson would have approved of government-run schools. (All right, the man was a genius, but he was wrong now and then, too.) An income tax? Zoning? Laws that dictate who may sell what, and what standards it must meet? Not a chance. Those were the precise things they rebelled against England for imposing upon them.
You don't think so? Look it up. Look up the Pine Tree Act. Look up the various acts that forbade Americans to trade with non-English firms on any basis. As for government-run schools, all but Jefferson would have shied back in horror, noting immediately that no other conceivable organ of State propaganda could possibly be as effective at producing docile and submissive subjects as a State school.
Let's have an end to this "general welfare" BS. There are only individuals and their rights. Trample anyone's rights -- which do NOT include a right to anything that belongs to any other man, nor a right to anything that someone else must produce for him -- and you lose the entire point of the American Constitutional enterprise.
Freedom, Wealth, and Peace,
Francis W. Porretto
Visit the Palace Of Reason:
Thanks for the laugh.
And wonderful insight also, that anyone [like Jefferson] that
disagrees with your purported vast knowledge of our
forefather's intent, is an idiot. [palace of reason....hahaha]
Rather than purported, it is perverted; twisted, your assumption
that the requiring of standards of quality should be deemed
**Inserted here: materials data**
~~~
No. 1
Compound: MgCO3
Source: the Materials Project
Functional: GGA-PBE
Structure: optimized geometry

a b c (Å): 5.7448 5.7448 5.7448
angles (deg): 48.21 48.21 48.21
Fractional positions:
Mg: 0.0000 0.0000 0.0000
Mg: 0.5000 0.5000 0.5000
C: 0.2500 0.2500 0.2500
C: 0.7500 0.7500 0.7500
O: 0.0265 0.7500 0.4735
O: 0.2500 0.5265 0.9735
O: 0.4735 0.0265 0.7500
O: 0.5265 0.9735 0.2500
O: 0.7500 0.4735 0.0265
O: 0.9735 0.2500 0.5265

## Properties
- ρ: 2899 kg/m³
- E_tot: -7.171 eV per atom

=====

No. 2
Compound: Mg5C4O18
Source: the Materials Project
Functional: GGA-PBE
Structure: optimized geometry

a b c (Å): 10.0796 9.1677 8.4036
angles (deg): 90.00 114.16 90.00
Fractional positions:
Mg: 0.0000 0.0000 0.0000
Mg: 0.0000 0.5000 0.5000
Mg: 0.3478 0.0676 0.3581
Mg: 0.3478 0.4324 0.8581
Mg: 0.3495 0.0653 0.9915
Mg: 0.3495 0.4347 0.4915
Mg: 0.6505 0.5653 0.5085
Mg: 0.6505 0.9347 0.0085
Mg: 0.6522 0.5676 0.1419
Mg: 0.6522 0.9324 0.6419
C: 0.0835 0.2329 0.7698
C: 0.0835 0.2671 0.2698
C: 0.4767 0.1683 0.7373
C: 0.4767 0.3317 0.2373
C: 0.5233 0.6683 0.7627
C: 0.5233 0.8317 0.2627
C: 0.9165 0.7329 0.7302
C: 0.9165 0.7671 0.2302
O: 0.0148 0.1238 0.7960
O: 0.0153 0.1734 0.1547
O: 0.0153 0.3266 0.6547
O: 0.0148 0.3762 0.2960
O: 0.2181 0.0021 0.1104
O: 0.2181 0.4979 0.6103
O: 0.2238 0.2440 0.8619
O: 0.2238 0.2560 0.3619
O: 0.2256 0.5793 0.9498
O: 0.2256 0.9207 0.4498
O: 0.2480 0.6115 0.3117
O: 0.2480 0.8885 0.8117
O: 0.4350 0.1983 0.2170
O: 0.4350 0.3017 0.7170
O: 0.4975 0.0999 0.6138
O: 0.4969 0.0995 0.8812
O: 0.4975 0.4001 0.1138
O: 0.4969 0.4005 0.3812
O: 0.5031 0.5995 0.6188
O: 0.5025 0.5999 0.8862
O: 0.5031 0.9005 0.1188
O: 0.5025 0.9001 0.3862
O: 0.5650 0.6983 0.2830
O: 0.5650 0.8017 0.7830
O: 0.7520 0.1115 0.1883
O: 0.7520 0.3885 0.6883
O: 0.7744 0.0793 0.5502
O: 0.7744 0.4207 0.0502
O: 0.7762 0.7440 0.6381
O: 0.7762 0.7560 0.1381
O: 0.7819 0.5021 0.3896
O: 0.7819 0.9979 0.8896
O: 0.9852 0.6238 0.7040
O: 0.9847 0.6734 0.3453
O: 0.9847 0.8266 0.8453
O: 0.9852 0.8762 0.2040

## Properties
- ρ: 2145 kg/m³
- E_tot: -6.172 eV per atom
- Size of the total moment: 12.00 μB/cell

=====

No. 3
Compound: Mg3CO4
Source: the Materials Project
Functional: GGA-PBE
Structure: optimized geometry

a b c (Å): 4.1987 4.1987 4.1987
angles (deg): 90.00 90.00 90.00
Fractional positions:
Mg: 0.0000 0.0000 0.5000
Mg: 0.0000 0.5000 0.0000
Mg: 0.5000 0.0000 0.0000
C: 0.5000 0.5000 0.5000
O: 0.0000 0.0000 0.0000
O: 0.0000 0.5000 0.5000
O: 0.5000 0.0000 0.5000
O: 0.5000 0.5000 0.0000

## Properties
- ρ: 3341 kg/m³
- E_tot: -5.701 eV per atom
- Size of the total moment: 0.00 μB/cell

=====

No. 4
Compound: Mg5C4O18
Source: the Materials Project
Functional: GGA-PBE
Structure: optimized geometry

a b c (Å): 10.2300 10.2300 9.0927
angles (deg): 90.00 90.00 131.38
Fractional positions:
Mg: 0.0000 0.0000 0.0000
Mg: 0.0090 0.3582 0.0627
Mg: 0.1418 0.4910 0.4373
Mg: 0.3582 0.0090 0.9373
Mg: 0.4910 0.1418 0.5627
Mg: 0.5000 0.5000 0.5000
Mg: 0.5090 0.8582 0.4373
Mg: 0.6418 0.9910 0.0627
~~~
"unconstitutional". I would agree [as I stated], that there has been
an exaggeration of the intent, but the basis is on solid ground.
I said:
"..It's the exaggeration of the intent; the providing of certain "benefits"
that do not truly of benefit all citizens. It is the providing of certain
services that are not promoting the general welfare, but only the
bank accounts of those distributing those "benefits" [ala' Joe Kennedy
and Mass Oil], that we lose sight of our Constitution's intent....."
You apparently missed that?
And this continual denouncing of the concept of public schooling;
the concept that all public schools conform to universal standards
of required study to provide each American child with an equal
opportunity to succeed, is ludicrous. It serves only to give
"conservatives" the appearance of being self-serving and careless
of concern for this Nation's future.
No child or person should be given benefit over another and
neither should be denied benefit. To demand universal and
conformed educational process of our public schooling, is the
correct action; you are free to pay for any other private education
you may prefer.
And there should be the teaching of Constitutional rights in
our schools. If that includes the teaching of the wrongness
of prejudicial attitudes, it is conforming closer to the teaching
# Misplaced records of crystals
=====
Compound: YbO3
Source: the Materials Project database
Functional: meta-GGA r2SCAN
Structure: relaxed

Values from the calculation:
- calculated formation energy (eV/atom) = -2.363

Cell lengths 3.885, 3.660, 6.289 Å; angles 90.00, 101.78, 90.00 degrees
Fractional coordinates of all 8 atoms:
Yb  0.199  0.250  0.322
Yb  0.801  0.750  0.678
O  0.219  0.250  0.899
O  0.252  0.750  0.522
O  0.464  0.750  0.151
O  0.536  0.250  0.849
O  0.748  0.250  0.478
O  0.781  0.750  0.101
=====
of the Constitutional rights of others, than your idea of what
should be taught.